In October 2020, the ISOC team, within the framework of the European Union project “Promoting Inclusive Education in the Kyrgyz Republic”, installed Ilimbox devices in 20 schools without the Internet. The Ilimbox, also known as the Internet in a Box, contains basic educational materials available without an Internet connection.
To speed up the delivery of Ilimbox devices, the ISOC team traveled from Bishkek in 3 different directions: Jalal-Abad oblast (9 schools), Issyk-Kul and Naryn oblasts (7 schools), Osh and Batken oblasts (4 schools).
The first group of villages was located in the Ala-Buka district of the Jalal-Abad region, on the border with Uzbekistan. When visiting these schools, our team came across the expression “dwarf school”: due to the lack of teachers, 1st and 3rd grades are taught in one lesson at the same time.

Entrance to the school named after E. Bakiev in Ala-Buka district, Jalal-Abad region
The main problems in the region are constant power outages and lack of roads, which is why children come to school on horseback from mountain villages. The following schools are located in Chatkal and Suzak districts: Chakmak-Suu, s. Achy, s. Markai and S. Ortok. Ortok village was remarkable for us. Most of all, the residents of this village complain about the lack of Kyrgyz television: they cannot watch the news and only show Uzbek channels. Teachers at the local school liked the Ilimbox device, and they especially liked the fact that a large amount of educational material can be found in one resource. They also liked our Android application and the ability to manage content without searching the entire phone.

/*
Below is a 2-piece molecular cluster, CHNO3 overall, with properties calculated with ωB97M-V with the def2-TZVPD basis set.

Each atom is followed by the atoms it is bonded to, with distances in Å.
Cartesian coordinates (Å):
1 C -0.581 1.452 1.485  O3 1.166, O4 1.144
2 N 0.614 0.388 0.150  O5 1.192, H6 1.133
3 O 0.027 2.425 1.694  C1 1.166
4 O -1.336 0.592 1.461  C1 1.144
5 O 1.372 -0.201 0.857  N2 1.192
6 H 0.040 -0.103 -0.695  N2 1.133

The calculation puts the HOMO-LUMO gap (alpha / beta) at 9.858 / 10.734 eV. The expectation value of S² is 2.007. Its spin multiplicity is 3. As for the charge: 0. Its strongest force on any atom is 4.4 eV/Å. The calculation puts the highest occupied orbital energy (alpha / beta) at -0.3385 / -0.4574 hartree.

Here are the Löwdin charges for atoms 1 to 4, given in e: number 1, C, carries -0.55; number 2, N, carries -0.07; number 3, O, carries 0.19; number 4, O, carries 0.18


{
  "formula": "C46H86BFN6O12P",
  "method": "ωB97M-V/def2-TZVPD",
  "energy_ev": -95282.45292,
  "fmax_ha_per_bohr": 0.063,
  "homo_lumo_gap_ev": 8.38,
  "e_lumo_ev": -1.97,
  "charge": 1,
  "symbols": ["C", "C", "N", "C", "C", "C", "O", "C", "N", "C", "C", "C", "P", "N", "C", "O", "C", "F", "C", "C", "C", "C", "C", "C", "C", "C", "N", "N", "B", "N", "O", "H", "H", "H", "H", "H", "H", "H", "H", "H", "H", "H", "H", "H", "H", "H", "H", "H", "H", "H", "H", "H", "H", "H", "H", "H", "H", "H", "H", "H", "H", "H", "H", "C", "C", "O", "C", "H", "H", "H", "H", "H", "H", "C", "C", "O", "C", "H", "H", "H", "H", "H", "H", "C", "C", "O", "C", "H", "H", "H", "H", "H", "H", "C", "C", "O", "C", "H", "H", "H", "H", "H", "H", "C", "C", "O", "C", "H", "H", "H", "H", "H", "H", "C", "C", "O", "C", "H", "H", "H", "H", "H", "H", "C", "C", "O", "C", "H", "H", "H", "H", "H", "H", "C", "C", "O", "C", "H", "H", "H", "H", "H", "H", "C", "C", "O", "C", "H", "H", "H", "H", "H", "H"],
*/

In Bazar-Korgon region, we visited a school in the village of Zhaz-Kechuu. The road to the village lies through walnut forests and small passes; in winter, due to snow and the lack of a road, residents can only ride horses to the nearest village. Electricity in this village was carried out only this fall. Therefore, residents of Jaz-Kechuu are just getting used to using computers and printers, watching TV, and using a mobile device not only for communication. Despite low digital skills, local school teachers were actively learning to use Ilimbox. In total, the school has about 70 students.

### What comes next are quantum chemistry results, not part of the piece
~~~
Record 1
Molecular formula: C3H3N3O2
Method: DFT, ωB97M-V/def2-TZVPD

Structure (ORCA input):
```
! RIJCOSX wB97M-V def2-TZVPD def2/J DEFGRID3
* xyz 0 1
O 0.693 0.263 2.827
N 0.564 -0.564 1.808
O 0.553 -1.824 1.875
C 0.274 0.051 0.510
N -0.440 1.129 0.495
C -0.756 1.214 -0.888
C -0.262 0.109 -1.549
N 0.666 -0.598 -0.709
H -1.778 1.967 -1.249
H -0.731 -0.371 -2.580
H 1.217 -1.375 -0.538
*
```

Results
Max |F| in Eh/bohr: 0.15269
Relative energy (zero: lowest compared OMol25 entry of this formula, charge and spin) in kJ/mol: 670.3
SMILES string: O=[N+]([O-])c1ncc[nH]1
Orbital gap in eV: 8.673

***

Record 2
Molecular formula: C3H3N3O2
Method: DFT, ωB97M-V/def2-TZVPD

Structure (ORCA input):
```
! RIJCOSX wB97M-V def2-TZVPD def2/J DEFGRID3
* xyz 0 1
C 0.491 -2.018 0.068
N 0.653 -1.111 -0.851
N -0.173 -0.068 -0.621
O -0.700 0.107 0.825
C -0.585 1.317 0.974
N -0.233 2.094 -0.047
C 0.141 1.243 -1.023
O 0.499 1.498 -2.171
H -0.265 -1.785 0.950
H 1.482 -2.787 0.005
H -1.310 1.509 1.890
*
```

Results
Max |F| in Eh/bohr: 0.13698
Relative energy (zero: lowest compared OMol25 entry of this formula, charge and spin) in kJ/mol: 592.3
SMILES string: C=Nn1ocnc1=O
Orbital gap in eV: 9.970

***

Record 3
Molecular formula: C3H3N3O2
Method: DFT, ωB97M-V/def2-TZVPD

Structure (ORCA input):
```
! RIJCOSX wB97M-V def2-TZVPD def2/J DEFGRID3
* xyz 0 1
N 2.385 -0.728 0.018
C 1.086 -0.233 -0.018
C -0.020 -1.070 -0.146
C -1.285 -0.490 -0.029
O -2.355 -0.966 0.198
N -1.210 1.039 -0.249
N -0.257 1.756 -0.127
O 1.008 0.977 0.369
H 2.533 -1.611 -0.471
H 3.059 -0.032 -0.260
H 0.077 -2.157 -0.136
*
```

Results
Max |F| in Eh/bohr: 0.06225
Relative energy (zero: lowest compared OMol25 entry of this formula, charge and spin) in kJ/mol: 357.3
SMILES string: Nc1cc(=O)nno1
Orbital gap in eV: 9.259

***

Record 4
Molecular formula: C3H3N3O2S
Method: DFT, ωB97M-V/def2-TZVPD

Structure (ORCA input):
```
! RIJCOSX wB97M-V def2-TZVPD def2/J DEFGRID3
* xyz 0 1
O -1.187 1.995 -0.074
C -0.658 0.880 -0.049
N 0.711 0.843 -0.079
C 1.403 -0.321 0.056
O 2.754 -0.302 0.225
N 0.860 -1.456 -0.105
N -0.459 -1.514 -0.228
C -1.215 -0.468 -0.180
S -2.952 -0.770 0.103
H 0.996 1.864 -0.194
H 3.092 -1.237 -0.034
H -3.345 0.485 0.561
*
```

Results
Max |F| in Eh/bohr: 0.04832
Relative energy (zero: lowest compared OMol25 entry of this formula, charge and spin) in kJ/mol: 33.3
SMILES string: O=c1[nH]c(O)nnc1S
Orbital gap in eV: 8.803

***
~~~

In the Issyk-Kul region, Ilimboks devices were installed in the villages of Eңilchek and Ak-Shyirak. Eңilchek was a developed mining village in the past. Now only about 150 people live here permanently. The local school has 5 classes with about 20 children and 11 teachers. The village has a mobile connection, but there is no Internet, which is why the electronic library was met with great interest: the teachers liked the offline Wikipedia most of all, using which they can find out more useful information, which means they can prepare interesting and informative lessons.

The second village of the Issyk-Kul region, Ak-Shyirak, is located 5 hours drive from Karakol. Departure to the city is hampered by mudflows and snowfalls. The villagers rarely travel to the city. The number of students is more than 70, children from neighboring villages live in dormitories, warm houses have also been built for teachers from other cities. There is a mobile connection, but no more than 4 people can use it at the same time.
Next, Ilimboks devices were installed in the Nookat region in the villages: Kayyudy and Kichi Alai. Both villages are considered the most remote villages in the Osh region. The village of Kayindy begins with a birch grove and is surrounded by mountains. Nature here is indescribably beautiful. The school has about 30 students, but the village has no Internet, as well as mobile communications. In the village of Kichi Alai, there is a mobile connection, but the mobile Internet does not provide sufficient speed for children to fully watch video lessons.

In the Kadamjai region, an electronic library was installed in the village of Shoro. The road to this village lies through the Shakhimardan enclave, through which only local residents are allowed. Therefore, the team members had to go through a bypass, which was 3 times longer. This school had a TV with Wi-Fi technology, so we were able to connect the Ilimbox device to the TV and demonstrate another way to use Ilimbox. In sunny weather, you can use the mobile 4G Internet, but in the rain, the network completely disappears.
The final was a school in the village of Zardaly in Batken oblast, which is located in a remote area and is not connected to electricity. Only on foot, the ISOC team walked about 3 hours 12 kilometers along narrow mountain trails. For the students and teachers of the village of Zardaly to use the Ilimbox device, electricity was required, for this, a solar panel, a battery, and a charge controller were purchased. The equipment was transported on donkeys. In some places, the equipment was carried by hand. Until they finally reached the village of Zardaly. The solar panel and Ilimbox were installed at the school, complemented by solar street lights donated by the team to the residents of Zardala. The school has about 11 children, 3 teachers work, including the director.